
The SDK provides convenient access to the Currency API for applications written in the PHP Programming Language.

v1.0.9 2023-10-28 15:55 UTC

This package is auto-updated.

Last update: 2024-09-28 18:00:12 UTC


Build Status Latest Stable Version Total Downloads License

The SDK provides convenient access to the Currency API for applications written in the PHP Programming Language.


PHP 7.x.x and later.


The library require the following extensions in order to work properly:

If you use Composer, these dependencies should be handled automatically. If you install manually, you'll want to make sure that these extensions are available.


Instructions for installing Composer on macOS, Linux, Unix and Windows are available here.

Install dependencies:

composer install


Install Currency API PHP SDK by running the following command:

composer require horisystems/fxdatapi

Usage Example

## create a file called currency_api.php
use Fxdatapi\Fxdatapi;

// Initialize the Fxdatapi SDK
$fxdatapi = new Fxdatapi();

// Set your username and password for the Currency API
$username = 'your_username';
$password = 'your_password';

// Log in to the API and obtain a token (if necessary)
$loginResult = $fxdatapi->login($username, $password);
if ($loginResult) {
    echo "Login successful.\n";
} else {
    die("Login failed.\n");

// Set currency conversion details
$date = '2023_04_05';
$baseCurrency = 'GBP';
$targetCurrency = 'EUR';
$amount = 1000;

// Set the date for which you want to retrieve the currencies
$day = '05';
$month = '04';
$year = '2023';

// Set the UUID of the currency you want to retrieve
$uuid = 'currency_uuid';

........
No. 1
Density functional theory data (PBE) for a geometry-optimized Pu6BiSb5 structure.

spin magnetization: 0.88 μB/atom
crystal system: monoclinic
energy relative to the elements, uncorrected: -0.529 eV per atom
uncorrected energy: -9.736 eV per atom

Cell: 7.6971 13.3425 7.6971 Å, 90.00 109.45 90.00°
With the nearest neighbours (Å) after each atom.
Space group C2/m (No. 12)
One atom of each set of equivalent atoms:
Pu 0.2453 0.0000 0.2511 (multiplicity 4)  5 Sb 3.11-3.14, 1 Bi 3.18
Pu 0.2461 0.1690 0.7463 (multiplicity 8)  5 Sb 3.12-3.14, 1 Bi 3.19
Bi 0.0000 0.5000 0.0000 (multiplicity 2)  6 Pu 3.18-3.19
Sb 0.0000 0.0000 0.5000 (multiplicity 2)  6 Pu 3.11-3.14
Sb 0.0000 0.1674 0.0000 (multiplicity 4)  6 Pu 3.14
Sb 0.0000 0.3357 0.5000 (multiplicity 4)  6 Pu 3.12-3.14

No. 2
Density functional theory data (PBE) for a geometry-optimized Pu4BiSb structure.

spin magnetization: 4.19 μB/atom
crystal system: orthorhombic
energy relative to the elements, uncorrected: -0.127 eV per atom
uncorrected energy: -11.016 eV per atom

Cell: 5.1620 6.8481 9.0106 Å, 90.00 90.00 90.00°
With the nearest neighbours (Å) after each atom.
Space group Immm (No. 71)
One atom of each set of equivalent atoms:
Pu 0.0000 0.2471 0.1659 (multiplicity 8)  3 Pu 2.99
Bi 0.0000 0.0000 0.5000 (multiplicity 2)  2 Sb 3.42, 12 Pu 3.45
Sb 0.0000 0.5000 0.5000 (multiplicity 2)  2 Bi 3.42, 12 Pu 3.43-3.47

~~~~~

## LiSb2 (GGA-PBE)

Data for a relaxed LiSb2 crystal.

Unit cell a=3.2581 b=3.2581 c=6.9239 alpha=90.00 beta=90.00 gamma=90.00
Sites, in units of the cell vectors:
1 Li 0.0000 0.0000 0.0000
2 Sb 0.5000 0.5000 0.2795
3 Sb 0.5000 0.5000 0.7205

Calculated values
ΔE to the lowest computed polymorph: 32 meV per atom
Energy: -3.596 eV/atom
Magnetization: 0.000 μB/atom
........

// Set the date for which you want to retrieve the daily average
$dailyAverageDate = '2023_04_10';

// Set the date range for which you want to retrieve the weekly average
$weeklyAverageFromDate = '2023_04_03';
$weeklyAverageToDate = '2023_04_07';

// Set the UUID of the performance you want to retrieve
$performanceId = 'performance_id';

// Set the UUID of the signal you want to retrieve
$signalId = 'signal_id';

// Call the convert method to perform the currency conversion
$conversionResult = $fxdatapi->convert($username, $date, $baseCurrency, $targetCurrency, $amount);
if ($conversionResult) {
    echo "Conversion result: " . json_encode($conversionResult) . "\n";
} else {
    echo "Currency conversion failed: " . $conversionResult['error'] . "\n";

// Call the convertAll method to convert the base currency to all available target currencies
$convertAllResult = $fxdatapi->convertAll($username, $baseCurrency, $amount, $date);
if ($convertAllResult) {
    echo "Conversion to all currencies successful:\n";
    echo json_encode($convertAllResult) . "\n";
} else {
    echo "Conversion to all currencies failed: " . $convertAllResult['error'] . "\n";

// Call the getCurrencies method to get the available currencies for the given date
$currenciesResult = $fxdatapi->getCurrencies($username, $day, $month, $year);
if ($currenciesResult) {
    echo "Currencies for " . $day . "/" . $month . "/" . $year . ":\n";
    echo json_encode($currenciesResult) . "\n";
} else {
    echo "Failed to retrieve currencies for the given date.\n";

// Call the getCurrency method to get the details of the specific currency for the given date
$currencyResult = $fxdatapi->getCurrency($uuid, $username, $day, $month, $year);
if ($currencyResult) {
    echo "Currency details for " . $day . "/" . $month . "/" . $year . ":\n";
    echo json_encode($currencyResult) . "\n";
} else {
    echo "Failed to retrieve currency details for the given date.\n";

// Call the getHistoricalData method to get historical data for all currencies for the given date
$historicalDataResult = $fxdatapi->getHistoricalData($username, $date, $day, $month, $year);
if ($historicalDataResult) {
    echo "Historical data for " . $date . ":\n";
    echo json_encode($historicalDataResult) . "\n";
} else {
    echo "Failed to retrieve historical data for the given date.\n";

**Calculated crystals, kept here for reference:**
Record 1
Below is an optimized crystal structure of Na6B4Sb2SO16, with properties calculated at the PBEsol level.

```
58
Lattice="-2.2031 -3.8415 -9.0014 7.1310 -0.7481 -7.0161 3.5428 -9.0152 -2.6097" Properties=species:S:1:pos:R:3 pbc="T T T"
Sb 5.2941 -8.5030 -11.6420
Sb 1.7286 -8.1289 -8.1340
Sb 6.3957 -6.5822 -7.1413
Sb 3.5228 -3.9954 -10.3371
O 7.8074 -10.3794 -16.2417
O 7.1455 -7.7093 -14.6455
O 5.6245 -9.1005 -9.6196
O 7.6097 -11.2745 -11.8305
O 5.3347 -8.6341 -15.9210
O 1.6267 -7.0536 -9.9750
O 6.9009 -6.3690 -9.2042
O 1.0678 -3.5082 -5.7124
O 1.6031 -2.5748 -3.5253
O 5.8520 -11.7660 -16.1182
O 4.9637 -7.9054 -13.6643
O 5.9129 -1.3927 -6.4428
O 4.7362 -5.2399 -7.1658
O 2.4639 -4.7652 -4.1594
O 5.9282 -6.4797 -11.3957
O 3.4427 -9.2966 -8.6385
O 7.7992 -12.3195 -14.8284
O 3.1965 -7.6511 -3.1071
O 0.5145 -0.8264 -1.1315
O 5.0303 -12.4540 -13.2695
O 4.6601 -10.5262 -11.8883
O 2.7891 -4.6864 -8.4556
O 2.9786 -5.7314 -11.4534
O 2.7809 -6.6265 -7.0423
O 3.6874 -10.6370 -14.0798
O -1.1533 -3.7345 -7.9458
O 5.2536 -8.3718 -7.3629
O 3.3357 -2.7566 -5.2300
O 7.3840 -8.8849 -11.8483
O 3.2042 -8.1210 -11.4357
O 5.5580 -4.5519 -10.0144
O 8.9615 -9.9523 -13.3090
S 2.1177 -3.4012 -4.6568
S 0.0000 0.0000 0.0000
Na -0.6128 -2.1455 -4.5244
Na 3.3457 -0.8336 -3.6824
Na 3.8365 -8.0767 -5.4528
Na 7.9432 -8.5076 -9.4934
Na 2.4114 -2.4628 -7.4999
Na 4.8481 -4.6569 -4.7892
Na 5.9029 -3.3157 -7.9904
Na 4.6341 -5.5280 -13.1744
Na 2.5677 -10.2891 -10.6368
Na 0.5274 -5.0972 -9.1338
Na 0.8896 -5.9688 -5.6312
Na 1.8239 -4.3396 -1.8137
B 7.9683 -10.0390 -12.3461
B 2.6199 -6.9670 -10.9379
B 6.1096 -5.8105 -10.1956
B 5.8202 -8.1047 -14.7357
B 7.1447 -11.4751 -15.7114
B 3.4436 -5.5308 -7.5726
B 4.4787 -11.1955 -13.0883
B 4.7681 -8.9012 -8.5483
```

Calculated values
- Spin magnetization: 0.00 Bohr magnetons per cell
- ΔE_f (raw): -56.1 eV/f.u.
- Raw total energy: -6.554 eV/atom
- Mass density: 3.316 Mg/m³

Record 2
Below is an optimized crystal structure of Na4B4Sb2SO16, with properties calculated at the PBEsol level.

```
54
Lattice="-4.4681 8.3066 2.6950 -7.3619 -2.0444 -6.1522 2.5217 -6.6535 6.9596" Properties=species:S:1:pos:R:3 pbc="T T T"
O -1.8774 0.8791 7.2078
O -8.3009 3.6188 1.7776
O -3.5452 -6.5081 1.1517
O -7.6374 5.7503 0.9336
O -4.4288 -0.4103 -0.2175
O -9.4305 4.5660 -0.1112
O -2.4314 -4.1541 4.2805
O -5.3853 2.9732 -0.3421
O -1.5448 1.9044 0.4568
O -7.7771 -1.0872 -3.8064
O 0.5233 -6.6822 5.4673
O -5.5879 -0.9366 -2.2396
O -3.5597 -2.0650 4.9553
O 0.2103 -1.8469 1.7791
O -7.2402 2.4632 -1.8887
O -10.4075 4.2309 -3.7255
O -7.0174 0.1315 2.4544
O -3.7643 0.9347 4.2388
O -2.6055 3.0599 4.1232
O -7.1876 -0.2357 4.8064
O -0.1364 -0.8946 4.3878
O -0.3066 -1.2618 6.7398
O -5.4169 5.9335 2.4520
O -3.3791 -2.7547 1.0318
O -5.0846 -4.3346 1.5713
O -4.8926 3.0238 4.9136
O 0.6893 -2.9289 5.3475
O -4.4604 2.5500 2.5766
O -9.6013 1.1598 1.4707
O -6.8002 -0.7522 -0.1921
O -2.2083 -0.2271 1.3009
O -5.4466 -2.0094 1.9863
B -1.3757 0.8717 1.3480
B -7.4258 0.5496 3.7038

// Call the getHistoricalDataForCurrency method to get historical data for a specific currency
$historicalDataForCurrencyResult = $fxdatapi->getHistoricalDataForCurrency($uuid, $username, $day, $month, $year, $date);
if ($historicalDataForCurrencyResult) {
    echo "Historical data for currency " . $uuid . " on " . $date . ":\n";
    echo json_encode($historicalDataForCurrencyResult) . "\n";
} else {
    echo "Failed to retrieve historical data for the given currency and date.\n";

// Call the getDailyAverage method to get the daily average for the given date
$dailyAverageResult = $fxdatapi->getDailyAverage($dailyAverageDate);
if ($dailyAverageResult) {
    echo "Daily average for " . $dailyAverageDate . ":\n";
    echo json_encode($dailyAverageResult) . "\n";
} else {
    echo "Failed to retrieve daily average for the given date.\n";

// Call the getWeeklyAverage method to get the weekly average for the given date range
$weeklyAverageResult = $fxdatapi->getWeeklyAverage($weeklyAverageFromDate, $weeklyAverageToDate);
if ($weeklyAverageResult) {
    echo "Weekly average from " . $weeklyAverageFromDate . " to " . $weeklyAverageToDate . ":\n";
    echo json_encode($weeklyAverageResult) . "\n";
} else {
    echo "Failed to retrieve weekly average for the given date range.\n";

// Call the getMonthlyAverage method to get the monthly average for the given year and month
$monthlyAverageResult = $fxdatapi->getMonthlyAverage($monthlyAverageYear, $monthlyAverageMonth);
if ($monthlyAverageResult) {
    echo "Monthly average for " . $monthlyAverageYear . " and " . $monthlyAverageMonth . ":\n";
    echo json_encode($monthlyAverageResult) . "\n";
} else {
    echo "Failed to retrieve monthly average for the given year and month.\n";

// Call the getMarginsSpreads method to get the margins and spreads for the given date
$marginsSpreadsResult = $fxdatapi->getMarginsSpreads($username, $day, $month, $year);
if ($marginsSpreadsResult) {
    echo "Margins and spreads for " . $day . "/" . $month . "/" . $year . ":\n";
    echo json_encode($marginsSpreadsResult) . "\n";
} else {
    echo "Failed to retrieve margins and spreads for the given date.\n";

// Call the getMarginSpread method to get the details of the specific margin or spread for the given date
$marginSpreadResult = $fxdatapi->getMarginSpread($uuid, $username, $day, $month, $year);
if ($marginSpreadResult) {
    echo "Margin or spread details for " . $day . "/" . $month . "/" . $year . ":\n";
    echo json_encode($marginSpreadResult) . "\n";
} else {
    echo "Failed to retrieve margin or spread details for the given date.\n";

// Call the getAllPerformances method to get all performances
$getAllPerformancesResult = $fxdatapi->getAllPerformances($username);
if ($getAllPerformancesResult) {
    echo "Performances list:\n";
    echo json_encode($getAllPerformancesResult) . "\n";
} else {
    echo "Failed to retrieve performances.\n";

// Call the getPerformanceById method to get the details of a specific performance
$getPerformanceByIdResult = $fxdatapi->getPerformanceById($performanceId, $username);
if ($getPerformanceByIdResult) {
    echo "Performance details for " . $performanceId . ":\n";
    echo json_encode($getPerformanceByIdResult) . "\n";
} else {
    echo "Failed to retrieve performance details for the given ID.\n";

// Call the getAllSignals method to get all signals
$getAllSignalsResult = $fxdatapi->getAllSignals($username);
if ($getAllSignalsResult) {
    echo "Signals list:\n";
    echo json_encode($getAllSignalsResult) . "\n";
} else {
    echo "Failed to retrieve signals.\n";

// Call the getSignalById method to get the details of a specific signal
$getSignalByIdResult = $fxdatapi->getSignalById($signalId, $username);
if ($getSignalByIdResult) {
    echo "Signal details for " . $signalId . ":\n";
    echo json_encode($getSignalByIdResult) . "\n";
} else {
    echo "Failed to retrieve signal details for the given ID.\n";


Execute the currency_api.php file:

php currency_api.php

Setting up Currency API Account

Subscribe here for a user account.

Using the Currency API

You can read the API documentation to understand what’s possible with the Currency API. If you need further assistance, don’t hesitate to contact us.


This project is licensed under the BSD 3-Clause License.


(c) 2023 Hori Systems Limited.